To do:
Search the listing further below for the word "state" and write out each line that has it.
Entries:
# 1
{"formula": "LiTh3Si3", "functional": "GGA-PBE", "state": "optimized geometry", "lattice": [[5.520, -2.153, 0.000], [5.520, 2.153, 0.000], [-4.794, 0.000, 13.454]], "species": ["Li", "Li", "Th", "Th", "Th", "Th", "Th", "Th", "Si", "Si", "Si", "Si", "Si", "Si"], "fractional_positions": [[0.246, 0.246, 0.409], [0.754, 0.754, 0.591], [0.253, 0.253, 0.774], [0.394, 0.394, 0.077], [0.470, 0.470, 0.622], [0.530, 0.530, 0.378], [0.606, 0.606, 0.923], [0.747, 0.747, 0.226], [0.037, 0.037, 0.228], [0.111, 0.111, 0.077], [0.121, 0.121, 0.547], [0.879, 0.879, 0.453], [0.889, 0.889, 0.923], [0.963, 0.963, 0.772]]}

# 2
{"formula": "Li7Th3Si4", "functional": "GGA-PBE", "state": "optimized geometry", "lattice": [[8.052, -2.250, 0.000], [8.052, 2.250, 0.000], [-4.573, 0.000, 7.277]], "species": ["Li", "Li", "Li", "Li", "Li", "Li", "Li", "Th", "Th", "Th", "Si", "Si", "Si", "Si"], "fractional_positions": [[0.000, 0.000, 0.000], [0.147, 0.147, 0.352], [0.340, 0.340, 0.186], [0.494, 0.494, 0.176], [0.506, 0.506, 0.824], [0.660, 0.660, 0.814], [0.853, 0.853, 0.648], [0.000, 0.000, 0.500], [0.274, 0.274, 0.778], [0.726, 0.726, 0.222], [0.133, 0.133, 0.931], [0.356, 0.356, 0.496], [0.644, 0.644, 0.504], [0.867, 0.867, 0.069]]}

# 3
{"formula": "LiTh2Si2", "functional": "GGA-PBE", "state": "optimized geometry", "lattice": [[4.222, 0.000, 0.000], [0.000, 5.955, 0.000], [0.000, 0.000, 9.045]], "species": ["Li", "Li", "Th", "Th", "Th", "Th", "Si", "Si", "Si", "Si"], "fractional_positions": [[0.000, 0.000, 0.000], [0.500, 0.500, 0.500], [0.000, 0.500, 0.212], [0.000, 0.500, 0.788], [0.500, 0.000, 0.288], [0.500, 0.000, 0.712], [0.000, 0.204, 0.500], [0.000, 0.796, 0.500], [0.500, 0.296, 0.000], [0.500, 0.704, 0.000]]}

# 4
{"formula": "Li2Th3Si3", "functional": "GGA-PBE", "state": "optimized geometry", "lattice": [[2.140, -5.591, 0.000], [2.140, 5.591, 0.000], [0.000, 0.000, 14.620]], "species": ["Li", "Li", "Li", "Li", "Th", "Th", "Th", "Th", "Th", "Th", "Si", "Si", "Si", "Si", "Si", "Si"], "fractional_positions": [[0.216, 0.784, 0.582], [0.216, 0.784, 0.918], [0.784, 0.216, 0.082], [0.784, 0.216, 0.418], [0.080, 0.920, 0.114], [0.080, 0.920, 0.386], [0.373, 0.627, 0.250], [0.627, 0.373, 0.750], [0.920, 0.080, 0.614], [0.920, 0.080, 0.886], [0.333, 0.667, 0.750], [0.401, 0.599, 0.041], [0.401, 0.599, 0.459], [0.599, 0.401, 0.541], [0.599, 0.401, 0.959], [0.667, 0.333, 0.250]]}

# 5
{"formula": "Li2Th2Si3", "functional": "GGA-PBE", "state": "optimized geometry", "lattice": [[2.205, -9.222, 0.000], [2.205, 9.222, 0.000], [0.000, 0.000, 6.777]], "species": ["Li", "Li", "Li", "Li", "Th", "Th", "Th", "Th", "Si", "Si", "Si", "Si", "Si", "Si"], "fractional_positions": [[0.188, 0.812, 0.566], [0.188, 0.812, 0.934], [0.812, 0.188, 0.066], [0.812, 0.188, 0.434], [0.344, 0.656, 0.750], [0.450, 0.550, 0.250], [0.550, 0.450, 0.750], [0.656, 0.344, 0.250], [0.060, 0.940, 0.072], [0.060, 0.940, 0.428], [0.280, 0.720, 0.250], [0.720, 0.280, 0.750], [0.940, 0.060, 0.572], [0.940, 0.060, 0.928]]}

# 6
{"formula": "LiThSi", "functional": "GGA-PBE", "state": "optimized geometry", "lattice": [[4.222, 0.000, 0.000], [0.000, 4.222, 0.000], [0.000, 0.000, 7.186]], "species": ["Li", "Li", "Th", "Th", "Si", "Si"], "fractional_positions": [[0.250, 0.750, 0.000], [0.750, 0.250, 0.000], [0.250, 0.250, 0.340], [0.750, 0.750, 0.660], [0.250, 0.250, 0.766], [0.750, 0.750, 0.234]]}

# 7
Response:
{"formula": "LiTh3Si3", "functional": "GGA-PBE", "state": "optimized geometry", "lattice": [[5.520, -2.153, 0.000], [5.520, 2.153, 0.000], [-4.794, 0.000, 13.454]], "species": ["Li", "Li", "Th", "Th", "Th", "Th", "Th", "Th", "Si", "Si", "Si", "Si", "Si", "Si"], "fractional_positions": [[0.246, 0.246, 0.409], [0.754, 0.754, 0.591], [0.253, 0.253, 0.774], [0.394, 0.394, 0.077], [0.470, 0.470, 0.622], [0.530, 0.530, 0.378], [0.606, 0.606, 0.923], [0.747, 0.747, 0.226], [0.037, 0.037, 0.228], [0.111, 0.111, 0.077], [0.121, 0.121, 0.547], [0.879, 0.879, 0.453], [0.889, 0.889, 0.923], [0.963, 0.963, 0.772]]}
{"formula": "Li7Th3Si4", "functional": "GGA-PBE", "state": "optimized geometry", "lattice": [[8.052, -2.250, 0.000], [8.052, 2.250, 0.000], [-4.573, 0.000, 7.277]], "species": ["Li", "Li", "Li", "Li", "Li", "Li", "Li", "Th", "Th", "Th", "Si", "Si", "Si", "Si"], "fractional_positions": [[0.000, 0.000, 0.000], [0.147, 0.147, 0.352], [0.340, 0.340, 0.186], [0.494, 0.494, 0.176], [0.506, 0.506, 0.824], [0.660, 0.660, 0.814], [0.853, 0.853, 0.648], [0.000, 0.000, 0.500], [0.274, 0.274, 0.778], [0.726, 0.726, 0.222], [0.133, 0.133, 0.931], [0.356, 0.356, 0.496], [0.644, 0.644, 0.504], [0.867, 0.867, 0.069]]}
{"formula": "LiTh2Si2", "functional": "GGA-PBE", "state": "optimized geometry", "lattice": [[4.222, 0.000, 0.000], [0.000, 5.955, 0.000], [0.000, 0.000, 9.045]], "species": ["Li", "Li", "Th", "Th", "Th", "Th", "Si", "Si", "Si", "Si"], "fractional_positions": [[0.000, 0.000, 0.000], [0.500, 0.500, 0.500], [0.000, 0.500, 0.212], [0.000, 0.500, 0.788], [0.500, 0.000, 0.288], [0.500, 0.000, 0.712], [0.000, 0.204, 0.500], [0.000, 0.796, 0.500], [0.500, 0.296, 0.000], [0.500, 0.704, 0.000]]}
{"formula": "Li2Th3Si3", "functional": "GGA-PBE", "state": "optimized geometry", "lattice": [[2.140, -5.591, 0.000], [2.140, 5.591, 0.000], [0.000, 0.000, 14.620]], "species": ["Li", "Li", "Li", "Li", "Th", "Th", "Th", "Th", "Th", "Th", "Si", "Si", "Si", "Si", "Si", "Si"], "fractional_positions": [[0.216, 0.784, 0.582], [0.216, 0.784, 0.918], [0.784, 0.216, 0.082], [0.784, 0.216, 0.418], [0.080, 0.920, 0.114], [0.080, 0.920, 0.386], [0.373, 0.627, 0.250], [0.627, 0.373, 0.750], [0.920, 0.080, 0.614], [0.920, 0.080, 0.886], [0.333, 0.667, 0.750], [0.401, 0.599, 0.041], [0.401, 0.599, 0.459], [0.599, 0.401, 0.541], [0.599, 0.401, 0.959], [0.667, 0.333, 0.250]]}
{"formula": "Li2Th2Si3", "functional": "GGA-PBE", "state": "optimized geometry", "lattice": [[2.205, -9.222, 0.000], [2.205, 9.222, 0.000], [0.000, 0.000, 6.777]], "species": ["Li", "Li", "Li", "Li", "Th", "Th", "Th", "Th", "Si", "Si", "Si", "Si", "Si", "Si"], "fractional_positions": [[0.188, 0.812, 0.566], [0.188, 0.812, 0.934], [0.812, 0.188, 0.066], [0.812, 0.188, 0.434], [0.344, 0.656, 0.750], [0.450, 0.550, 0.250], [0.550, 0.450, 0.750], [0.656, 0.344, 0.250], [0.060, 0.940, 0.072], [0.060, 0.940, 0.428], [0.280, 0.720, 0.250], [0.720, 0.280, 0.750], [0.940, 0.060, 0.572], [0.940, 0.060, 0.928]]}
{"formula": "LiThSi", "functional": "GGA-PBE", "state": "optimized geometry", "lattice": [[4.222, 0.000, 0.000], [0.000, 4.222, 0.000], [0.000, 0.000, 7.186]], "species": ["Li", "Li", "Th", "Th", "Si", "Si"], "fractional_positions": [[0.250, 0.750, 0.000], [0.750, 0.250, 0.000], [0.250, 0.250, 0.340], [0.750, 0.750, 0.660], [0.250, 0.250, 0.766], [0.750, 0.750, 0.234]]}